Asking questions about God requires little. Finding the answers requires effort. Living with those answers requires grace.

Friday, May 25, 2007


Around 4 a.m. this morning, Macayla started stirring in the bed. She’s been restless lately between 3 a.m. to 4 a.m. But this morning, she was having what we believe was a long seizure or cluster of seizures. It was different from what we have seen before. Her legs and arms jerked rhythmically and repetitively while she made some strange sounds over and over. The movements themselves weren’t as unusual as the fact that we couldn’t interrupt them. Anytime she gets hyper and jerky, we can usually interrupt it by changing something in her immediate environment. If she’s watching TV, we can turn it off and she will pause and look at it. If it’s dark, we can turn on a light and she will pause and look around. But this morning, she didn’t stop even when we turned on the light. I picked her up and she continued to do it in my arms without acknowledging me. We decided it was probably a seizure when we saw it suddenly stop and she was instantly asleep and then it started again as quickly as it stopped. The second time it stopped, she looked around and even made eye contact with me for a moment before closing her eyes and it started again. Around 4:45 a.m. we gave her diastat which is a rectal medication used to stop seizures. It is basically made to knock her out and stop the seizures. When we were prescribed the medication two years ago, we had to test it on Macayla in the doctor’s office to see how she reacted. That trial put Macayla to sleep in three minutes, but this morning it took 15 minutes. We’ve never had to use it before this morning for seizures. We are increasing some key medications to help control seizures more. In the meantime, Macayla’s digestion processes have been off for about two weeks. She has been spitting up frequently and even threw up on her birthday (not a fun way to celebrate 6 years old). She has had more difficulty staying regular as well. So, all in all, she has kept us guessing and on our toes. But we are so thankful for the blessing that is Macayla. She is beautiful and it’s amazing what she endures and still smiles.

Tuesday, May 22, 2007

-- begin --
(1)
{
  "formula": "KYBeO3",
  "functional": "PBE",
  "state": "optimized geometry",
  "raw_formation_energy_ev_per_atom": -2.659,
  "lattice_angstrom": [[7.507, 0.000, 0.000], [0.000, 3.373, 0.000], [-2.145, 0.000, 7.324]],
  "species": ["K", "K", "Y", "Y", "Be", "Be", "O", "O", "O", "O", "O", "O"],
  "frac_coords": [[0.217, 0.250, 0.188], [0.783, 0.750, 0.812], [0.166, 0.250, 0.658], [0.834, 0.750, 0.342], [0.397, 0.750, 0.936], [0.603, 0.250, 0.064], [0.147, 0.750, 0.455], [0.180, 0.750, 0.866], [0.469, 0.250, 0.863], [0.531, 0.750, 0.137], [0.820, 0.250, 0.134], [0.853, 0.250, 0.545]]
}



(2)
{
  "formula": "K2Be2ZnO4",
  "functional": "PBE",
  "state": "optimized geometry",
  "raw_formation_energy_ev_per_atom": -1.896,
  "lattice_angstrom": [[6.233, -1.502, 0.000], [6.233, 1.502, 0.000], [-1.891, 0.000, 5.734]],
  "species": ["K", "K", "Be", "Be", "Zn", "O", "O", "O", "O"],
  "frac_coords": [[0.126, 0.126, 0.024], [0.874, 0.874, 0.976], [0.321, 0.321, 0.512], [0.679, 0.679, 0.488], [0.000, 0.000, 0.500], [0.215, 0.215, 0.637], [0.451, 0.451, 0.682], [0.549, 0.549, 0.318], [0.785, 0.785, 0.363]]
}



(3)
{
  "formula": "KZrBeO2",
  "functional": "PBE",
  "state": "optimized geometry",
  "raw_formation_energy_ev_per_atom": 0.206,
  "lattice_angstrom": [[3.783, 0.000, 0.000], [0.000, 3.783, 0.000], [0.000, 0.000, 4.364]],
  "species": ["K", "Zr", "Be", "O", "O"],
  "frac_coords": [[0.000, 0.000, 0.000], [0.500, 0.500, 0.000], [0.000, 0.000, 0.500], [0.000, 0.500, 0.500], [0.500, 0.000, 0.500]]
}



(4)
{
  "formula": "KZrBeO4",
  "functional": "PBE",
  "state": "optimized geometry",
  "raw_formation_energy_ev_per_atom": -2.380,
  "lattice_angstrom": [[5.389, 0.000, 0.000], [0.000, 4.450, 0.000], [-1.861, 0.000, 7.389]],
  "species": ["K", "K", "Zr", "Zr", "Be", "Be", "O", "O", "O", "O", "O", "O", "O", "O"],
  "frac_coords": [[0.234, 0.250, 0.458], [0.766, 0.750, 0.542], [0.237, 0.250, 0.933], [0.763, 0.750, 0.067], [0.258, 0.750, 0.172], [0.742, 0.250, 0.828], [0.059, 0.750, 0.292], [0.102, 0.750, 0.958], [0.487, 0.002, 0.186], [0.487, 0.498, 0.186], [0.513, 0.502, 0.814], [0.513, 0.998, 0.814], [0.898, 0.250, 0.042], [0.941, 0.250, 0.708]]
}



(5)
{
  "formula": "K2ZrBeO4",
  "functional": "PBE",
  "state": "optimized geometry",
  "raw_formation_energy_ev_per_atom": -2.369,
  "lattice_angstrom": [[5.871, 0.000, 0.000], [0.000, 6.393, 0.000], [0.000, 0.000, 6.674]],
  "species": ["K", "K", "K", "K", "Zr", "Zr", "Be", "Be", "O", "O", "O", "O", "O", "O", "O", "O"],
  "frac_coords": [[0.250, 0.003, 0.204], [0.250, 0.497, 0.204], [0.750, 0.503, 0.796], [0.750, 0.997, 0.796], [0.250, 0.250, 0.648], [0.750, 0.750, 0.352], [0.250, 0.750, 0.670], [0.750, 0.250, 0.330], [0.021, 0.750, 0.525], [0.250, 0.520, 0.808], [0.250, 0.980, 0.808], [0.479, 0.750, 0.525], [0.521, 0.250, 0.475], [0.750, 0.020, 0.192], [0.750, 0.480, 0.192], [0.979, 0.250, 0.475]]
}



(6)
{
  "formula": "KBeOs4",
  "functional": "PBE",
  "state": "optimized geometry",
-- stop --


Six years ago at 7:49 a.m. in Greenwood, SC Macayla Grace Smoak was born. She came out at 7lbs 11 oz. and was pink, wrinkled and gooey with a head full of hair. All that hair compelled some of the nurses to ask Jennifer if she had a lot of heartburn during the pregnancy. Apparently there is a connection (wives tale) between a baby with hair and heartburn during the pregnancy. Jennifer did have a lot of heartburn, but it was probably brought on more by Macayla’s father than Macayla’s hair. I got to give Macayla her first bath with the help of my mother-in-law and sister-in-law and it wasn’t long before Macayla took her first nap. Jennifer did well except for her placenta not delivering and that required a quick trip to the O.R. after delivery. I did well until I watched them put a needle in Jennifer’s spine to control pain during delivery. That’s when I hit the floor for a few seconds! But all first-time Dads are allowed a floor nap in the delivery room. Macayla was an amazing adventure when she was born and I was ready to have twenty children. Macayla hasn’t disappointed us in the adventure department! She’s still my little girl and always will be. It’s amazing to take stock of all that has happened in that time. What is about to happen over the next six years? This past week I studied to prepare for a Bible study and in that process, I was reminded that Genesis records God creating the heavens and the earth in six days. God could have created everything in an immeasurable instant, but He chose to take time and bring order out of chaos. Step by step, one piece of the puzzle after the next, God put the universe together and when He was done, He saw what was complete and said it was “very good.” Six years ago, God started a process in our lives. This process will affect us for the rest of our days, but its purposes are found in a greater plan. The plan to redeem the world that fell shortly after it was created. It was no longer “very good.” Macayla is a victim of that fallen world, a world with defective genes and defective souls among other things. But through Christ, we are being re-created. Step by step, one piece of the puzzle after the next, God is re-creating us through a process and not an immeasurable instant (probably because we don’t handle sudden change too well as humans.) God promises that He works all things to good for those who love him and are called according to his purpose. The blessing of Macayla and the curse of Battens Disease will all be worked into that plan. How? I don’t know. But when it is finished, we will be able to see the re-creation and see that it is indeed “very good.”

Tuesday, May 08, 2007


For several weeks now, Macayla has been much more interactive and it has been great to watch. But she is also experiencing more hyper episodes that involve a lot of screaming or laughing. Her body gets quite rigid and she flinches and jumps very suddenly during these episodes. We met a young boy recently that suffers from gelastic seizures which are known to cause emotional outbursts such as laughing or crying. We are trying to catch these moments on video to send to the neurologist for review. We shall see, or I guess, he will see and then tell us if there is anything to it. I wish we could say that Macayla is just having a good time, but it certainly seems that she is distressed when these events happen. It also causes her to spit up more and since her swallowing is disorganized, that can be difficult for her and cause her to choke. So we hope to learn more soon. We are excited over the consistent level of interaction she has maintained. It gives us more glimpses of our little girl. One of the neatest things is when she makes eye contact with me in the rearview mirror (something she hasn't done in almost a year) and begins to giggle. That will brighten your day in a hurry.


It’s amazing how ruts work. When I was first learning to drive, we lived along a well traveled dirt road. After a good rain, the road would be rutted from the many cars that traveled it. Once the dirt road would dry out, the ruts would be hard and formed and they would alter how you drove on it. If you’ve ever driven down heavily traveled dirt roads, you know what it’s like to feel your vehicle suddenly shift and drop into ruts made by those who have gone down the road before you. If it is a dirt road you lived on, then chances are you made those ruts. No matter how hard you try to avoid them, eventually you will feel the car jolt over and drop in the ruts and steering becomes a frustrating experience. The ruts act as tracks and this is why there aren’t steering wheels on train engines.
All this to say, I get in ruts. I’m in a rut now. Ruts are those old patterns in life that seem to haunt us and as we go down the dirt road of life that we live on, we fall back into the ruts that we made the last time we traveled that way. I’ve tried turning the steering wheel to make my car jump out, but it is no use. I recently thought of the title of a song “Jesus Take the Wheel” and that’s exactly what I want Him to do. So, I slid over to the passenger seat and offered the driver’s seat to Jesus, but He slid me back over behind the wheel! He told me that if this metaphor put Him at the wheel, then I would be free of having to make choices since He would be making them all for me. That would not do. I am left to make choices and do my part. He said that He would go up ahead at the appropriate spot in the road and get his road crew started. It’s a family-owned road crew as it turns out. A Father and Son and Spirit team and the Father has many adopted children that He employs as well. They would get some of the ruts out up ahead, but for now His grace was sufficient. I honestly don’t like that answer. That means that I have to continue through the discomfort my situation for now. A man named Paul had some affliction that he prayed to God three times to remove and God gave him the same answer, “My grace is sufficient.” This same Paul also wrote that he did not “consider that the sufferings of this present time are worthy to be compared with the glory that is to be revealed in us.” Paul stated that God works all things out for the good of those who love Him, those who are called according to His purpose. Those He called are justified and those who are justified are glorified. So, there’s something to look forward to, I guess. But this is going to require some perseverance. Where does that come from? Oh, yeah the grace. It comes from God’s gift of grace that has saved me through faith. It is that grace that has re-created me in Christ for the good works that God prepared beforehand so that I might walk in them. I guess in keeping with the metaphor… “so that I might steer in them.” As it turns out, sometimes we have to follow the ruts until a better spot in the road comes up. If you don’t keep the car moving, it can get bogged down and stuck up to its axles. God has prepared the good works ahead and He’s using the ruts now to get me there. Maybe staying in the ruts is preventing me from sliding off into the ditch not to mention there may be a few good works to do while in the ruts. Whatever the reasons, I pray that I can rely on that grace and pray without doubt for God’s wisdom as I navigate the frustrating ruts of this life. It’s amazing how much you can learn about life from dirt roads. Don’t even get me started on the dusty days or the ripples that form and rattle your fenders off! Guess you have to drive it to understand.